Health Issues Among the Community

This is such an extraordinarily important issue. HIV and AIDS have been prominent in the GLBT community for a long time. It wasn’t until the eighties that the disease received worldwide attention as an epidemic. And then, gay men were targeted, and the disease was known as GRID – Gay Related Immune Deficiency – and became another reason to ostracize homosexuals.

HIV continues to weak havoc among the gay population, except now it has shown in younger and younger samples of gay men. The CDC did a comparison and estimate study in 2012 of HIV between the years of 2007 and 2010. The statistics are startling.

  • In major U.S. cities, 1 in 5 young gay/bisexual men are infected with HIV a year
  • Gay males represent 4% of the U.S. population
  • Gay men accounted for more than 3/4 (78%) of new infections among men
  • Gay men accounted for 2/3 (63%) of new infections overall
  • Young gay black men (between the ages of 13 and 24) rank the highest among all subgroups, and accounted for 55% of new infections among young gay men
  • There has been a 12% increase in HIV incidence in gay men from 2007 – 2010

These statistics are horrifying, and while so much is known about the physical and mental affects associated with HIV, the number of new infections hasn’t declined. So why aren’t the numbers going down? With all we know about HIV, AIDS and how devastating these diseases are, why aren’t gay men taking more precautions to protect themselves?

I understand cultural issues. At times it’s hard enough for me as a lesbian to navigate through life. I couldn’t begin to imagine the strife a young black man faces when he realizes he’s gay or bisexual, especially if he’s growing up in a poorer community where the men are expected to take care of the family. Tolerance and acceptance is growing in the US in general, but some communities place great amounts of pressure on their children to grow up into strong, heterosexual adults to further the family name.

And I understand the desire to achieve full pleasure during a sexual encounter. But at what cost?

Lesbians and bisexual women are not immune to sexually transmitted diseases either. We can catch such things as bacterial vaginosis, herpes, HPV and trichomoniasis from our sexual escapades.

Interestingly enough, I haven’t found any statistics regarding lesbians and STDs. This is unfortunate, as it can lull lesbians into a false sense of security, and the mentality of ‘It won’t happen to me’.

So how do we combat such things?

Well, first and foremost – get educated. When I was diagnosed with leukemia, I learned as much as I possibly could on the subject. Because if I were going to succumb to something I couldn’t see, I was damn well going to put up one hell of a fight. You can’t necessarily prevent cancer, but you can prevent STDs and HIV. And knowing what the diseases can do to you may scare you enough to take the precautionary steps to prevent you from contracting them in the first place. Ask the status of your sexual partner (or partners, as the case may be). If you’re intimate enough to have sex, you’re definitely intimate enough to share statuses. And if you don’t know your own status, find out. Get tested.

Stay protected. If you’re a gay man, or bisexual, use condoms. If you’re a lesbian, wash your toys, wash your fingers before and after sex. Make sure to wash under your fingernails as well. Use protection for oral sex as well. Talk with your doctor about protection that can also maximize the experience. If you think you might have contracted something, see your doctor immediately.

Sex is not worth the risk of death. Ever.

- - -
Entry 1:
Density functional theory data (PBE+U) for an optimized crystal structure of Ba2Tl2Zn2Fe3O10.

Calculated values
Crystal system ... triclinic
Energy of formation from the pure elements ... -3016 kJ/mol of formula units

```
data_Ba2Tl2Zn2Fe3O10
_space_group_name_H-M_alt 'P 1'
_space_group_IT_number 1
_space_group_name_Hall 'P 1'
_cell_length_a 3.984
_cell_length_b 4.019
_cell_length_c 17.818
_cell_angle_alpha 94.85
_cell_angle_beta 94.14
_cell_angle_gamma 90.50
loop_
_atom_site_label
_atom_site_type_symbol
_atom_site_fract_x
_atom_site_fract_y
_atom_site_fract_z
Ba1 Ba 0.000 0.000 0.000
Ba2 Ba 0.346 0.312 0.560
Tl1 Tl 0.433 0.503 0.844
Tl2 Tl 0.887 0.949 0.717
Zn1 Zn 0.121 0.160 0.192
Zn2 Zn 0.203 0.252 0.369
Fe1 Fe 0.554 0.548 0.119
Fe2 Fe 0.569 0.805 0.280
Fe3 Fe 0.802 0.755 0.440
O1 O 0.049 0.510 0.118
O2 O 0.053 0.870 0.274
O3 O 0.307 0.749 0.441
O4 O 0.394 0.289 0.727
O5 O 0.482 0.488 0.963
O6 O 0.511 0.324 0.287
O7 O 0.533 0.040 0.117
O8 O 0.837 0.255 0.444
O9 O 0.850 0.830 0.598
O10 O 0.932 0.832 0.833
```

=====

Entry 2:
Density functional theory data (PBE+U) for an optimized crystal structure of LiCrNiO4.

Calculated values
Crystal system ... orthorhombic
Energy of formation from the pure elements ... -1171 kJ/mol of formula units

```
data_LiCrNiO4
_space_group_name_H-M_alt 'P 1'
_space_group_IT_number 1
_space_group_name_Hall 'P 1'
_cell_length_a 5.845
_cell_length_b 5.845
_cell_length_c 5.845
_cell_angle_alpha 120.40
_cell_angle_beta 119.47
_cell_angle_gamma 90.11
loop_
_atom_site_label
_atom_site_type_symbol
_atom_site_fract_x
_atom_site_fract_y
_atom_site_fract_z
Li1 Li 0.371 0.121 0.250
Li2 Li 0.629 0.879 0.750
Cr1 Cr 0.000 0.500 0.500
Cr2 Cr 0.500 0.500 0.000
Ni1 Ni 0.000 0.000 0.500
Ni2 Ni 0.000 0.500 0.000
O1 O 0.207 0.738 0.469
O2 O 0.231 0.262 0.969
O3 O 0.238 0.265 0.527
O4 O 0.238 0.712 0.973
O5 O 0.762 0.288 0.027
O6 O 0.762 0.735 0.473
O7 O 0.769 0.738 0.031
O8 O 0.793 0.262 0.531
```

=====

Entry 3:
Density functional theory data (PBE+U) for an optimized crystal structure of CaFeO2.

Calculated values
Crystal system ... tetragonal
Energy of formation from the pure elements ... -889 kJ/mol of formula units

```
data_CaFeO2
_space_group_name_H-M_alt 'P 1'
_space_group_IT_number 1
_space_group_name_Hall 'P 1'
_cell_length_a 4.003
_cell_length_b 4.003
_cell_length_c 3.231
_cell_angle_alpha 90.00
_cell_angle_beta 90.00
_cell_angle_gamma 90.00
loop_
_atom_site_label
_atom_site_type_symbol
_atom_site_fract_x
_atom_site_fract_y
_atom_site_fract_z
Ca1 Ca 0.000 0.000 0.000
Fe1 Fe 0.500 0.500 0.500
O1 O 0.000 0.500 0.500
O2 O 0.500 0.000 0.500
```

=====

Entry 4:
Density functional theory data (PBE+U) for an optimized crystal structure of Ba2LaVO6.

Calculated values
Crystal system ... cubic
Energy of formation from the pure elements ... -2980 kJ/mol of formula units

```
data_Ba2LaVO6
_space_group_name_H-M_alt 'P 1'
_space_group_IT_number 1
_space_group_name_Hall 'P 1'
_cell_length_a 8.556
_cell_length_b 8.556
- - -

I’ll even help get you started. Use this link to find a testing center near you –

Some centers will even test for free.

Remember – Get Educated, Stay Protected.